Help & Advice

Why choose Mae Care?

What is the person-centred approach?

All people have the resources and tenancy to advance, improve and grow personally.

Person-centred care, will focus on the person’s individual needs, not the diagnosis of dementia.

We centre around the person who is receiving care.

For more see our post What is Person-Centred Care.

What does person-centred domiciliary care mean?

Domiciliary care is care provided in the comfort of your own home, that may not necessarily be provided by local authorities.

Calculated crystals, kept here for reference:
┌──
Below is a crystal of BaTlRh relaxed with PBEsol, with properties calculated at the meta-GGA SCAN level.

Properties
The space group is P3m1. The value obtained for the energy is -48.84 eV/atom. The formation energy is -0.2804 eV/atom.

abc: 4.6210 4.6210 4.6641
angles: 90.00 90.00 120.00
Fractional positions:
Ba: 0.0000 0.0000 0.0000
Tl: 0.6667 0.3333 0.4999
Rh: 0.3333 0.6667 0.5015
└──

It may include household tasks, such as preparation of meals and day-to-day domestic tasks.

Being person-centred, we will review a persons needs as their dementia evolves.

What is a bespoke person-centred care plan?

At Mae Care, every person will receive their own bespoke care plan, designed for the person’s individual needs.

Our team at Mae Care, will constantly review the plan and the persons needs as their dementia journey evolves.


Working with partners

Occasionally, we are unable to provide a particular service. However, we work closely with a group of partners, with the same ethos, to sign post you to attaint the relevant services you need.


Confidential Care.

We provide care to the highest standard, and all records and data are stored with confidentially, at the heart of everything we do.


Commitment to CQC KLOE’s

At Mae Care, we are committed to Key Line of Enquiry prompts, in all areas of the care we provide. The prompts cover:

  • Safety - people are protected from abuse and avoidable harm

  • Effectiveness - good outcomes are achieved from bespoke care

  • Care - people are treated with compassion, kindness, dignity and respect

  • Responsiveness - peoples needs and outcomes are met

  • Leadership - high-quality and person-centred care is delivered by good leadership and management.


HOW long will the person have dementia?

An average person lives four to eight years with the condition of dementia.

Some people live 20 years after their initial diagnosis.


WHAT types of dementia are there?

  • Alzheimers disease

  • Vascular dementia

  • Dementia with Lewy bodies

  • Mixed dementia

  • Parkinson’s disease

  • Frontotemporal dementia

WHY does the person repeat herself?

Repeating oneself is often an early sign of the onset of dementia.


WHERE can we receive help and support?

MAE Care Logo Image only.png

If you would like to refer a relative, friend or patient to us, or just start a conversation about how we can help, please use the Referral Form button below.

WHEN do you go to your GP.

As soon as the person recognises they may have a problem with their memory. Early intervention can result in better dementia care.


WHO can help us with this support?

MAE Care can signpost to social intervention, also we have excellent relationships with healthcare professionals and healthcare bodies.

We also have an close relationship with the local charity Bloomin’ Dementia for social events and other services.